I. Colosimo

9 records found

Winds of Opportunity

Intertidal Flat Hydrodyanmics & Morphodynamics

'''
{"formula": "LaPr2Co2C2N3", "functional": "PBE", "state": "optimized geometry", "space_group": "I4/mmm (139)", "e_tot_ev_per_atom": -7.93, "crystal_system": "tetragonal", "total_magnetization_mub_per_fu": 0.0, "volume_a3_per_atom": 13.2, "lattice_angstrom": [[-1.809, 1.809, 10.050], [1.809, -1.809, 10.050], [1.809, 1.809, -10.050]], "species": ["La", "Pr", "Pr", "Co", "Co", "C", "C", "N", "N", "N"], "frac_coords": [[0.000, 0.000, 0.000], [0.369, 0.369, 0.000], [0.631, 0.631, 0.000], [0.250, 0.750, 0.500], [0.750, 0.250, 0.500], [0.197, 0.197, 0.000], [0.803, 0.803, 0.000], [0.127, 0.127, 0.000], [0.500, 0.500, 0.000], [0.873, 0.873, 0.000]]}

{"formula": "SmUBe", "functional": "PBE", "state": "optimized geometry", "space_group": "F-43m (216)", "e_tot_ev_per_atom": -5.78, "crystal_system": "cubic", "total_magnetization_mub_per_fu": 2.6, "de_polymorph_mev_per_atom": 0, "volume_a3_per_atom": 23.8, "lattice_angstrom": [[0.000, 3.294, 3.294], [3.294, 0.000, 3.294], [3.294, 3.294, 0.000]], "species": ["Sm", "U", "Be"], "frac_coords": [[0.000, 0.000, 0.000], [0.500, 0.500, 0.500], [0.250, 0.250, 0.250]]}


Compound: AcInRh
Source: Alexandria
Functional: PBE
Structure: optimized geometry

Its relative energy among the computed polymorphs is 0.00 eV/f.u. The total magnetic moment is 0.000 μB/cell. The calculation puts the density of states at the Fermi level at 0.649 states/eV per atom.

The space group is P2_1/m (No. 11) and the conventional cell measures 7.828, 4.344 and 13.263 Å, with angles of 90.00, 90.53 and 90.00 degrees. The inequivalent atoms are Ac at (0.039, 0.250, 0.126), Ac at (0.160, 0.250, 0.418), Ac at (0.456, 0.750, 0.787), In at (0.130, 0.250, 0.702), In at (0.361, 0.750, 0.041), In at (0.498, 0.750, 0.416), Rh at (0.244, 0.750, 0.253), Rh at (0.258, 0.250, 0.919) and Rh at (0.262, 0.750, 0.588).


Compound: Dy2Fe5C4
Source: Alexandria
Functional: PBE
Structure: optimized geometry

The total magnetic moment is 0.000 μB/cell. The calculation puts the density of states at the Fermi level at 0.355 states/eV per atom.

The space group is Fmmm (No. 69) and the conventional cell measures 4.972, 9.246 and 10.277 Å, with angles of 90.00, 90.00 and 90.00 degrees. The inequivalent atoms are Dy at (0.000, 0.000, 0.147), Fe at (0.000, 0.000, 0.500), Fe at (0.250, 0.250, 0.000), Fe at (0.250, 0.250, 0.250) and C at (0.000, 0.161, 0.369).


Calculated values (eV per atom) of formation energy for the records, taken in order: -0.675, -0.194.
'''
-- The calculated crystals stop here --

Intertidal flats and salt marshes are critical ecosystems offering significant services but face degradation due to anthropogenic pressures. To mitigate this, restoration efforts like the "Mud Motor" have been introduced, where fine sediments dredged from ports are strategically ...

Winds of opportunity

The effects of wind on intertidal flat accretion

+++
The following is a DFT calculation (GGA-PBE) of a relaxed Tb5Ho5Tm2 crystal.

formation energy from the elements = 0.018 eV per atom
symmetry = No. 12
E_tot = -54.8 eV per formula unit

Unit cell a=4.988 b=7.879 c=11.141 alpha=115.09 beta=90.00 gamma=108.45
Positions (direct):
Tb1 0.500 0.000 0.500
Tb2 0.666 0.333 0.000
Tb3 0.583 0.166 0.250
Tb4 0.417 0.834 0.750
Tb5 0.334 0.667 0.000
Ho1 0.167 0.334 0.500
Ho2 0.749 0.498 0.749
Ho3 0.251 0.502 0.251
Ho4 0.833 0.666 0.500
Ho5 0.000 0.000 0.000
Tm1 0.084 0.167 0.750
Tm2 0.916 0.833 0.250

***

The following is a DFT calculation (GGA-PBE) of a relaxed Tb5Ho2Tm5 crystal.

formation energy from the elements = 0.021 eV per atom
symmetry = No. 12
E_tot = -54.4 eV per formula unit

Unit cell a=4.968 b=7.861 c=10.560 alpha=72.69 beta=76.39 gamma=71.58
Positions (direct):
Tb1 0.500 0.500 0.500
Tb2 0.334 0.333 0.999
Tb3 0.416 0.917 0.250
Tb4 0.584 0.083 0.750
Tb5 0.666 0.667 0.001
Ho1 0.917 0.417 0.749
Ho2 0.083 0.583 0.251
Tm1 0.833 0.835 0.500
Tm2 0.250 0.750 0.749
Tm3 0.750 0.250 0.251
Tm4 0.167 0.165 0.500
Tm5 0.000 0.000 0.000

***

The following is a DFT calculation (GGA-PBE) of a relaxed Tb2HoTm7 crystal.

formation energy from the elements = 0.710 eV per atom
symmetry = No. 65
E_tot = -38.0 eV per formula unit

Unit cell a=5.043 b=9.607 c=9.607 alpha=127.00 beta=90.00 gamma=90.00
Positions (direct):
Tb1 0.500 0.701 0.299
Tb2 0.500 0.299 0.701
Ho1 0.000 0.000 0.000
Tm1 0.000 0.806 0.194
Tm2 0.000 0.194 0.806
Tm3 0.500 0.073 0.286
Tm4 0.500 0.927 0.714
Tm5 0.500 0.286 0.073
Tm6 0.500 0.714 0.927
Tm7 0.500 0.500 0.500

~~~~~

The following is a DFT calculation (PBE+U) of an optimized crystal structure of SrWIO2.

```
SrWIO2
1.0
4.249 0.000 0.000
0.000 4.249 0.000
0.000 0.000 5.886
O Sr W I
2 1 1 1
Cartesian
0.000 2.124 0.000
2.124 0.000 0.000
2.124 2.124 2.943
0.000 0.000 0.000
0.000 0.000 2.943
```

## Properties
Excess energy over the best structure of this formula in the dataset in meV/atom: 0
N(E_F) in states/eV/f.u.: 0.48
+++

Intertidal ecosystems are threatened by sea level rise and anthropogenic pressures. Understanding the processes controlling the morphodynamic developments of tidal flats is crucial for sustainable management of these systems. Analysis of three extensive fieldwork campaigns carrie ...
Dredging of navigation channels in estuaries affects estuarine morphology and ecosystems. In the Western Scheldt, a two-channel estuary in the Netherlands, the navigation channel is deepened and the sediment is relocated to other parts of the estuary. We analyzed the response of ...
Hydrodynamic forces on intertidal flats vary over a range of temporal and spatial scales. These spatiotemporal inhomogeneities have implications for intertidal flat morphodynamics and ecology. We determine whether storm events are capable of altering the long-term morphological e ...
Sediment transport over intertidal flats is driven by a combination of waves, tides, and wind-driven flow. In this study we aimed at identifying and quantifying the interactions between these processes. A five week long dataset consisting of flow velocities, waves, water depths, ...
Coastal systems worldwide deliver vital ecosystem services, such as biodiversity, carbon sequestration, and coastal protection. Effectivity of these ecosystem services increases when vegetation is present. Understanding the mechanisms behind vegetation establishment in bio-geomor ...
Bij de haven van Harlingen is een innovatieve methode beproefd voor hergebruik van baggerslib om de ontwikkeling van een kwelder te stimuleren: de slibmotor. Bij een slibmotor wordt baggerspecie als een semi-continue bron van sediment zo dicht mogelijk bij een kwelder verspreid o ...
We test an innovative approach to beneficially re-use dredged sediment to enhance salt marsh development. A Mud Motor is a dredged sediment disposal in the form of a semi-continuous source of mud in a shallow tidal channel allowing natural processes to disperse the sediment to ne ...
Port maintenance and nature preservation are two often conflicting aspects of coastal management. Within a Pilot Project in the Western Wadden Sea (the Netherlands - see Figure1a) we test a win-win solution that could reduce harbour siltation while simultaneously stimulate saltma ...